### Work order
Transcribe the whole of the data further down word for word.

### Listing
<<<
[1]
# Li7V3P8O29, optimized geometry, DFT GGA+U
# Space-group type: P1
# Total magnetic moment: 3.000 μB per formula unit
# Calculated formation energy: -2675 meV/atom
data_Li7V3P8O29
_chemical_formula_sum 'Li14 V6 P16 O58'
_cell_length_a 9.832
_cell_length_b 9.848
_cell_length_c 13.898
_cell_angle_alpha 90.72
_cell_angle_beta 90.75
_cell_angle_gamma 60.30
_space_group_name_H-M_alt 'P 1'
_space_group_IT_number 1
loop_
_space_group_symop_operation_xyz
'x,y,z'
loop_
_atom_site_label
_atom_site_fract_x
_atom_site_fract_y
_atom_site_fract_z
_atom_site_occupancy
Li1 0.906 0.326 0.565 1
Li2 0.666 0.681 0.385 1
Li3 0.675 0.670 0.885 1
Li4 0.766 0.322 0.063 1
Li5 0.326 0.909 0.065 1
Li6 0.671 0.236 0.440 1
Li7 0.329 0.764 0.564 1
Li8 0.657 0.103 0.936 1
Li9 0.235 0.666 0.936 1
Li10 0.331 0.329 0.615 1
Li11 0.093 0.674 0.436 1
Li12 0.103 0.233 0.939 1
Li13 0.979 0.963 0.003 1
Li14 0.999 0.995 0.508 1
V1 0.563 0.435 0.248 1
V2 0.434 0.565 0.752 1
V3 0.567 0.997 0.745 1
V4 0.435 0.005 0.254 1
V5 0.997 0.565 0.247 1
V6 0.002 0.436 0.751 1
P1 0.913 0.781 0.838 1
P2 0.783 0.915 0.339 1
P3 0.908 0.317 0.345 1
P4 0.664 0.666 0.128 1
P5 0.664 0.665 0.626 1
P6 0.773 0.320 0.844 1
P7 0.681 0.226 0.657 1
P8 0.319 0.913 0.848 1
P9 0.687 0.084 0.152 1
P10 0.319 0.776 0.343 1
P11 0.225 0.687 0.158 1
P12 0.331 0.337 0.372 1
P13 0.339 0.327 0.874 1
P14 0.089 0.684 0.651 1
P15 0.221 0.084 0.658 1
P16 0.085 0.225 0.160 1
O1 0.012 0.767 0.559 1
O2 0.922 0.747 0.341 1
O3 0.770 0.014 0.060 1
O4 0.746 0.924 0.841 1
O5 0.898 0.631 0.836 1
O6 0.812 0.666 0.175 1
O7 0.895 0.480 0.333 1
O8 0.997 0.225 0.071 1
O9 0.923 0.331 0.847 1
O10 0.662 0.813 0.675 1
O11 0.631 0.902 0.331 1
O12 0.812 0.517 0.663 1
O13 0.664 0.669 0.021 1
O14 0.663 0.673 0.518 1
O15 0.673 0.511 0.164 1
O16 0.483 0.895 0.833 1
O17 0.514 0.812 0.170 1
O18 0.738 0.343 0.338 1
O19 0.786 0.216 0.750 1
O20 0.771 0.228 0.569 1
O21 0.763 0.234 0.932 1
O22 0.631 0.485 0.833 1
O23 0.514 0.668 0.662 1
O24 0.662 0.252 0.162 1
O25 0.482 0.628 0.329 1
O26 0.345 0.917 0.342 1
O27 0.802 0.987 0.239 1
O28 0.789 0.014 0.420 1
O29 0.211 0.987 0.578 1
O30 0.664 0.080 0.658 1
O31 0.517 0.372 0.667 1
O32 0.333 0.751 0.847 1
O33 0.480 0.337 0.334 1
O34 0.383 0.533 0.172 1
O35 0.223 0.775 0.069 1
O36 0.234 0.770 0.430 1
O37 0.210 0.794 0.250 1
O38 0.252 0.670 0.661 1
O39 0.485 0.181 0.824 1
O40 0.534 0.081 0.167 1
O41 0.334 0.479 0.839 1
O42 0.357 0.309 0.981 1
O43 0.333 0.337 0.479 1
O44 0.180 0.486 0.333 1
O45 0.373 0.097 0.664 1
O46 0.333 0.190 0.325 1
O47 0.089 0.655 0.161 1
O48 0.986 0.793 0.738 1
O49 0.012 0.790 0.919 1
O50 0.109 0.519 0.664 1
O51 0.190 0.325 0.836 1
O52 0.093 0.377 0.172 1
O53 0.250 0.080 0.163 1
O54 0.238 0.003 0.938 1
O55 0.209 0.009 0.759 1
O56 0.080 0.251 0.657 1
O57 0.983 0.233 0.436 1
O58 0.996 0.210 0.253 1

***

[2]
# Li9V3P8O29, optimized geometry, DFT GGA+U
# Space-group type: P1
# Total magnetic moment: 6.000 μB per formula unit
# Calculated formation energy: -2705 meV/atom
data_Li9V3P8O29
_chemical_formula_sum 'Li18 V6 P16 O58'
_cell_length_a 9.843
_cell_length_b 9.862
_cell_length_c 13.712
_cell_angle_alpha 90.04
_cell_angle_beta 90.22
_cell_angle_gamma 119.88
_space_group_name_H-M_alt 'P 1'
_space_group_IT_number 1
loop_
_space_group_symop_operation_xyz
'x,y,z'
loop_
_atom_site_label
_atom_site_fract_x
_atom_site_fract_y
_atom_site_fract_z
_atom_site_occupancy
Li1 0.759 0.096 0.072 1
Li2 0.898 0.238 0.562 1
Li3 0.341 0.100 0.562 1
Li4 0.658 0.317 0.377 1
Li5 0.668 0.334 0.882 1
Li6 0.332 0.231 0.067 1
Li7 0.901 0.667 0.065 1
Li8 0.237 0.340 0.432 1
Li9 0.761 0.660 0.564 1
Li10 0.099 0.333 0.938 1
Li11 0.668 0.766 0.939 1
Li12 0.332 0.666 0.618 1
Li13 0.347 0.685 0.123 1
Li14 0.656 0.902 0.425 1
Li15 0.105 0.764 0.433 1
Li16 0.566 0.999 0.249 1
Li17 0.235 0.902 0.940 1
Li18 0.999 0.997 0.005 1
V1 0.436 0.436 0.248 1
V2 0.565 0.564 0.751 1
V3 0.999 0.435 0.750 1
V4 0.002 0.565 0.250 1
V5 0.436 0.001 0.751 1
V6 0.001 0.003 0.496 1
P1 0.775 0.090 0.846 1
P2 0.910 0.221 0.345 1
>>>

### Worked solution
[1]
# Li7V3P8O29, optimized geometry, DFT GGA+U
# Space-group type: P1
# Total magnetic moment: 3.000 μB per formula unit
# Calculated formation energy: -2675 meV/atom
data_Li7V3P8O29
_chemical_formula_sum 'Li14 V6 P16 O58'
_cell_length_a 9.832
_cell_length_b 9.848
_cell_length_c 13.898
_cell_angle_alpha 90.72
_cell_angle_beta 90.75
_cell_angle_gamma 60.30
_space_group_name_H-M_alt 'P 1'
_space_group_IT_number 1
loop_
_space_group_symop_operation_xyz
'x,y,z'
loop_
_atom_site_label
_atom_site_fract_x
_atom_site_fract_y
_atom_site_fract_z
_atom_site_occupancy
Li1 0.906 0.326 0.565 1
Li2 0.666 0.681 0.385 1
Li3 0.675 0.670 0.885 1
Li4 0.766 0.322 0.063 1
Li5 0.326 0.909 0.065 1
Li6 0.671 0.236 0.440 1
Li7 0.329 0.764 0.564 1
Li8 0.657 0.103 0.936 1
Li9 0.235 0.666 0.936 1
Li10 0.331 0.329 0.615 1
Li11 0.093 0.674 0.436 1
Li12 0.103 0.233 0.939 1
Li13 0.979 0.963 0.003 1
Li14 0.999 0.995 0.508 1
V1 0.563 0.435 0.248 1
V2 0.434 0.565 0.752 1
V3 0.567 0.997 0.745 1
V4 0.435 0.005 0.254 1
V5 0.997 0.565 0.247 1
V6 0.002 0.436 0.751 1
P1 0.913 0.781 0.838 1
P2 0.783 0.915 0.339 1
P3 0.908 0.317 0.345 1
P4 0.664 0.666 0.128 1
P5 0.664 0.665 0.626 1
P6 0.773 0.320 0.844 1
P7 0.681 0.226 0.657 1
P8 0.319 0.913 0.848 1
P9 0.687 0.084 0.152 1
P10 0.319 0.776 0.343 1
P11 0.225 0.687 0.158 1
P12 0.331 0.337 0.372 1
P13 0.339 0.327 0.874 1
P14 0.089 0.684 0.651 1
P15 0.221 0.084 0.658 1
P16 0.085 0.225 0.160 1
O1 0.012 0.767 0.559 1
O2 0.922 0.747 0.341 1
O3 0.770 0.014 0.060 1
O4 0.746 0.924 0.841 1
O5 0.898 0.631 0.836 1
O6 0.812 0.666 0.175 1
O7 0.895 0.480 0.333 1
O8 0.997 0.225 0.071 1
O9 0.923 0.331 0.847 1
O10 0.662 0.813 0.675 1
O11 0.631 0.902 0.331 1
O12 0.812 0.517 0.663 1
O13 0.664 0.669 0.021 1
O14 0.663 0.673 0.518 1
O15 0.673 0.511 0.164 1
O16 0.483 0.895 0.833 1
O17 0.514 0.812 0.170 1
O18 0.738 0.343 0.338 1
O19 0.786 0.216 0.750 1
O20 0.771 0.228 0.569 1
O21 0.763 0.234 0.932 1
O22 0.631 0.485 0.833 1
O23 0.514 0.668 0.662 1
O24 0.662 0.252 0.162 1
O25 0.482 0.628 0.329 1
O26 0.345 0.917 0.342 1
O27 0.802 0.987 0.239 1
O28 0.789 0.014 0.420 1
O29 0.211 0.987 0.578 1
O30 0.664 0.080 0.658 1
O31 0.517 0.372 0.667 1
O32 0.333 0.751 0.847 1
O33 0.480 0.337 0.334 1
O34 0.383 0.533 0.172 1
O35 0.223 0.775 0.069 1
O36 0.234 0.770 0.430 1
O37 0.210 0.794 0.250 1
O38 0.252 0.670 0.661 1
O39 0.485 0.181 0.824 1
O40 0.534 0.081 0.167 1
O41 0.334 0.479 0.839 1
O42 0.357 0.309 0.981 1
O43 0.333 0.337 0.479 1
O44 0.180 0.486 0.333 1
O45 0.373 0.097 0.664 1
O46 0.333 0.190 0.325 1
O47 0.089 0.655 0.161 1
O48 0.986 0.793 0.738 1
O49 0.012 0.790 0.919 1
O50 0.109 0.519 0.664 1
O51 0.190 0.325 0.836 1
O52 0.093 0.377 0.172 1
O53 0.250 0.080 0.163 1
O54 0.238 0.003 0.938 1
O55 0.209 0.009 0.759 1
O56 0.080 0.251 0.657 1
O57 0.983 0.233 0.436 1
O58 0.996 0.210 0.253 1

***

[2]
# Li9V3P8O29, optimized geometry, DFT GGA+U
# Space-group type: P1
# Total magnetic moment: 6.000 μB per formula unit
# Calculated formation energy: -2705 meV/atom
data_Li9V3P8O29
_chemical_formula_sum 'Li18 V6 P16 O58'
_cell_length_a 9.843
_cell_length_b 9.862
_cell_length_c 13.712
_cell_angle_alpha 90.04
_cell_angle_beta 90.22
_cell_angle_gamma 119.88
_space_group_name_H-M_alt 'P 1'
_space_group_IT_number 1
loop_
_space_group_symop_operation_xyz
'x,y,z'
loop_
_atom_site_label
_atom_site_fract_x
_atom_site_fract_y
_atom_site_fract_z
_atom_site_occupancy
Li1 0.759 0.096 0.072 1
Li2 0.898 0.238 0.562 1
Li3 0.341 0.100 0.562 1
Li4 0.658 0.317 0.377 1
Li5 0.668 0.334 0.882 1
Li6 0.332 0.231 0.067 1
Li7 0.901 0.667 0.065 1
Li8 0.237 0.340 0.432 1
Li9 0.761 0.660 0.564 1
Li10 0.099 0.333 0.938 1
Li11 0.668 0.766 0.939 1
Li12 0.332 0.666 0.618 1
Li13 0.347 0.685 0.123 1
Li14 0.656 0.902 0.425 1
Li15 0.105 0.764 0.433 1
Li16 0.566 0.999 0.249 1
Li17 0.235 0.902 0.940 1
Li18 0.999 0.997 0.005 1
V1 0.436 0.436 0.248 1
V2 0.565 0.564 0.751 1
V3 0.999 0.435 0.750 1
V4 0.002 0.565 0.250 1
V5 0.436 0.001 0.751 1
V6 0.001 0.003 0.496 1
P1 0.775 0.090 0.846 1
P2 0.910 0.221 0.345 1